WITH A LOUD GRUNT With a loud grunt he plunged his other hand into the pile ( while pocketing the torn cover ) and withdrew the old , greying parchment ... which was oddly creaseless .
Fred , bewildered , said he remembered screwing it up , which led to a smile and an introduction from the old one .
``I am Gandar , and this is no ordinary parchment . Like the piston ring it once cloaked it will defy destruction until the time is right .’’
He crunched it up in his hand and released it again .
Fred watched with bewilderment , and some apprehension , as it crackled perfectly back into shape .
``I wish we could get aluminium and plastic to do that ,’’ he said quietly before offering Gandar a cup of tea and one of his egg sandwiches .
``Most kind ,’’ Gandar smiled , and set forth explaining to Fred the circumstances he had unknowingly found himself in collision with .
``That old parchment was placed away from sight , at the bottom of that old tool box , 30 years ago by your uncle Billybo . You see , he could not destroy the strange parchment and nor could he escape the irresistible and evil force of the piston ring it once contained ... it ruined him .’’
Indeed , Fred ’ s uncle Billybo had inexplicably allowed the family motorcycle repair business to fall into financial ruin as he apparently walked the earth , mumbling , in search of a couple of ``magical ’’ piston rings . ``We must visit your uncle ,’’ Gandar said as he spat out a fragment of eggshell . ``He ’ s in the loony bin ,’’ Fred replied , as if dismissing the idea .
``Nevertheless ... we must visit the poor fellow for I fear he must still be in possession of the third ring , and if that is the case he could be in mortal danger for I fear the Dark Riders are afoot .’’ ``The Dark Riders ?’’ Fred asked in a whisper . ``A foul brood . A motorcycle gang of dark attire and darker hearts who seek the missing piston ring for Sorceron .’’
Fred leaned forward , and after looking left , then right , then over his shoulder , suggested Gandar illuminate him on what the hell was going on .
For suddenly , it seemed , the simple life of repairing motorcycles and doing part-time shoe soling on the weekends had come asunder .
AN ISANE METALLURGIST Gandar took a deep breath , choked on the foul tea , then told the story of how in the darkest of times some three decades ago an insane metallurgist by the name of Sid Sorceron forged three perfect piston rings using the lavas of hell . He forged them of a metal so rare and evil there was only enough for three rings , and he forged them to create the ultimate engine . An engine which could never fail and which could produce all the power of hell . The rings , when assembled from top to bottom in the order they were forged , would create an engine that could actually think . An engine that could react and could plot and could seduce . Gandar lamented that he once worked as a senior engineer with the evil Sorceron , but after discovering the plot he was hatching , and after a violent confrontation , stormed out ... vowing he would do all he could to put a stop to his dangerous plans .
There was silence for a few seconds before
Fred spoke . ``Another egg sandwich ?’’ he asked . ``Don ’ t mind if I do ,’’ Gandar replied before
continuing .
He told how Sorceron , intoxicated by the power he had created , decided to celebrate with his foul friends and get intoxicated in a more traditional manner .
But the evening spent at Latasha ’ s Lap Dancing Bar proved his undoing , as he lost one of the rings during an energetic mambo on a big lass called Mumbo .
He told how in the bar , at that very time , had been a young mechanic from the ``new lands ’’ of Zeal .
``And you know who that young fellow was don ’ t you Fred ,’’ Gandar inquisitioned . ``Bob Toomey ?’’ Fred replied . ``Are you not listening to anything I ’ m telling you ?’’ he boomed . ``It was your uncle Billybo !’’ ``Oh , yeah , good as gold , I ’ m with you ’’ Fred said nodding furiously .
Gandar rolled his eyes to the ceiling before continuing to tell how young Billybo saw a glow from under a table and reached down to retrieve the object . It was a piston ring ... but one so smooth and so light it drew a gasp of awe from him . It lay on a grey parchment wrapping which had golden lettering upon it . He scooped that up as well and put them both in his back pocket ... and forgot about them until he arrived back home .
Sorceron was enraged at the loss and brought together a dark army of apprentice motorcycle mechanics who had never made it past the second year ... an army he demanded must return him the ring .
As for Billybo , well he was never the same again . He always felt the ring was trying to push him away from his home ... to go to distant lands in search of something ... to take it somewhere . But what , where , how ?
And then , one maudlin evening as the cider took effect , he noticed something he had never
seen before . Inscribed on the inner surface of the ring was a minute , almost invisible inscription ... `` # 3 of 3 ’’.
TWO OTHERS ? That meant there were two others . And the knowledge of that meant he turned his back on his business and his loved ones and set out , not knowing where , to find its two companions and complete the evil treble . He had no idea what would happen if he ever found them , but he figured it must be better than running a two-bit bike business and having to put up with demands for payment from McPhee the Mad ... the collector of monies owed .
``I think we better go and see uncle Billybo ,’’ Fred said quietly .
``There is no time to lose ,’’ Gandar replied as he polished off the last egg sandwich .
The Hobbletown Lunatic Asylum was a desperate place full once promising souls now cast into a limbo of psychological oblivion .
Its dark towers withheld the cries of the deranged , the moans of the demented and the laughter of the men and women who had no idea where or who they were but loved the 4pm daily social dancing lessons .
[Misplaced calculated crystals]
+++
The following is a DFT calculation (SCAN) of a PBEsol-optimized structure of HfNbTe2.

The structure in POSCAR format:
```
HfNbTe2
1.0
-2.239 2.239 9.446
2.239 -2.239 9.446
2.239 2.239 -9.446
Hf Nb Te
2 2 4
direct
0.000 0.000 0.000 Hf
0.750 0.250 0.500 Hf
0.250 0.750 0.500 Nb
0.500 0.500 0.000 Nb
0.135 0.625 0.010 Te
0.375 0.385 0.510 Te
0.615 0.125 0.990 Te
0.875 0.865 0.490 Te
```

Properties
* total magnetization: 0.0000 μB/atom
* energy above the most stable polymorph in this dataset: 0.605 eV/atom
* space group: I-42d
* calculated density: 9.229 Mg/m³

The following is a DFT calculation (SCAN) of a PBEsol-optimized structure of Hf2TiNb.

The structure in POSCAR format:
```
Hf2TiNb
1.0
0.000 3.369 3.369
3.369 0.000 3.369
3.369 3.369 0.000
Hf Ti Nb
2 1 1
direct
0.250 0.250 0.250 Hf
0.750 0.750 0.750 Hf
0.000 0.000 0.000 Ti
0.500 0.500 0.500 Nb
```

Properties
* calculated formation energy: 0.04 eV/atom
* total magnetization: 0.2890 μB/atom
* space group: Fm-3m
* calculated density: 10.808 Mg/m³

The following is a DFT calculation (SCAN) of a PBEsol-optimized structure of HfTiNb2.

The structure in POSCAR format:
```
HfTiNb2
1.0
0.000 3.300 3.300
3.300 0.000 3.300
3.300 3.300 0.000
Hf Ti Nb
1 1 2
direct
0.000 0.000 0.000 Hf
0.500 0.500 0.500 Ti
0.250 0.250 0.250 Nb
0.750 0.750 0.750 Nb
```

Properties
* calculated formation energy: 0.10 eV/atom
* total magnetization: 0.0003 μB/atom
* space group: Fm-3m
* calculated density: 9.525 Mg/m³

The following is a DFT calculation (SCAN) of a PBEsol-optimized structure of HfTiNb2W.

The structure in POSCAR format:
```
HfTiNb2W
1.0
4.474 0.000 0.000
0.000 4.474 0.000
0.000 0.000 4.875
Hf Ti Nb W
1 1 2 1
direct
0.000 0.000 0.000 Hf
0.000 0.000 0.500 Ti
0.000 0.500 0.500 Nb
0.500 0.000 0.500 Nb
0.500 0.500 0.000 W
```

Properties
* calculated formation energy: 1.53 eV/atom
* total magnetization: 0.0000 μB/atom
* space group: P4/mmm
* calculated density: 10.143 Mg/m³

The following is a DFT calculation (SCAN) of a PBEsol-optimized structure of HfNb2Tl2.

The structure in POSCAR format:
```
HfNb2Tl2
1.0
-2.086 2.086 6.461
2.086 -2.086 6.461
2.086 2.086 -6.461
Hf Nb Tl
1 2 2
direct
0.000 0.000 0.000 Hf
0.411 0.411 0.000 Nb
0.589 0.589 0.000 Nb
0.250 0.750 0.500 Tl
0.750 0.250 0.500 Tl
```

Properties
* calculated formation energy: 0.60 eV/atom
* total magnetization: 0.0000 μB/atom
* space group: I4/mmm
* calculated density: 11.417 Mg/m³

The following is a DFT calculation (SCAN) of a PBEsol-optimized structure of HfNb2W.

The structure in POSCAR format:
```
HfNb2W
1.0
0.000 3.280 3.280
3.280 0.000 3.280
3.280 3.280 0.000
Hf Nb W
1 2 1
direct
0.000 0.000 0.000 Hf
0.250 0.250 0.250 Nb
0.750 0.750 0.750 Nb
0.500 0.500 0.500 W
```

Properties
* calculated formation energy: 0.05 eV/atom
* total magnetization: 0.0000 μB/atom
* space group: Fm-3m
* calculated density: 12.901 Mg/m³

The following is a DFT calculation (SCAN) of a PBEsol-optimized structure of Hf3NbZn.

The structure in POSCAR format:
```
Hf3NbZn
1.0
+++
[The calculated crystals stop here]
Gandar and Fred were taken to Room 57 . On the sturdy door was the name B . Bagwind , and after knocking just twice the door opened and
Kiwi Rider – June 2003 27